[Excerpt]
- - -
(1)
The following is a quantum chemistry calculation of an isolated molecule of C4H6OS at a distorted geometry, from the Open Molecules 2025 dataset.

Values from the calculation:
* charge: 0
* LUMO energy: -0.9 eV
* spin multiplicity: 1
* E: -17126.896 eV

Each line ends with the Löwdin charge.
Element x y z (Å)
C  1.0615  -1.5984  0.1442  -0.0412
C  0.6725  -0.1920  -0.2252  -0.4426
O  1.4912  0.5901  -0.6893  0.0677
C  -0.8557  0.1938  -0.0931  -0.7481
C  -0.9418  1.6244  0.1015  -0.1302
S  -1.9935  -0.9188  -0.3806  0.7960
H  0.2243  -2.2775  0.0353  0.0333
H  1.8791  -1.8372  -0.5339  0.0905
H  1.4260  -1.5503  1.1527  0.0860
H  -0.0666  2.2586  -0.3239  0.1269
H  -1.0044  1.8101  1.1580  0.0888
H  -1.8926  1.8971  -0.3457  0.0730



(2)
The following is a quantum chemistry calculation of an isolated molecule of C4H6OS2 at a distorted geometry, from the Open Molecules 2025 dataset.

Values from the calculation:
* charge: 0
* LUMO energy: 0.2 eV
* spin multiplicity: 1
* E: -27960.885 eV

Each line ends with the Löwdin charge.
Element x y z (Å)
S  3.4862  -0.7249  0.3239  0.7033
C  2.5501  0.0295  -0.7781  -0.6532
O  1.2965  0.4965  -0.6043  -0.1346
C  0.7708  0.4151  0.7076  -0.2377
C  -0.7015  0.0580  0.8615  -0.1559
C  -1.3494  -0.3662  -0.1810  -0.5560
S  -3.0580  -0.7788  -0.1450  0.7300
H  2.9283  0.1333  -1.7910  0.0688
H  0.7895  1.4741  1.1441  0.1633
H  1.2807  -0.4150  1.0873  0.0286
H  -1.1390  0.1617  1.9480  0.1561
H  -0.9679  -0.1805  -1.1326  0.0454
H  -2.8288  -2.0642  0.0009  -0.1582



(3)
The following is a quantum chemistry calculation of an isolated molecule of C4H6OS2 at a distorted geometry, from the Open Molecules 2025 dataset.

Values from the calculation:
* charge: 0
* LUMO energy: 0.5 eV
* spin multiplicity: 1
* E: -27959.907 eV

Each line ends with the Löwdin charge.
Element x y z (Å)
S  3.0410  0.1228  0.4217  0.7359
C  1.4085  -0.0255  -0.1723  -1.0745
O  0.8429  0.8782  -1.0827  -0.1545
C  0.0638  1.2024  0.0774  -0.1602
C  -1.2967  0.5118  0.1941  -0.2357
C  -1.1869  -0.8840  -0.3194  -0.4184
S  0.5514  -1.5838  0.0040  0.8387
H  3.2542  -1.3387  0.4684  -0.0498
H  0.4683  1.9456  0.6699  0.0925
H  -2.1686  1.1497  -0.2652  0.1445
H  -1.7775  0.5882  1.2225  0.1265
H  -1.8475  -1.5339  0.2158  0.0551
H  -1.3529  -1.0329  -1.4342  0.0999



(4)
The following is a quantum chemistry calculation of an isolated molecule of C4H6OS3 at a distorted geometry, from the Open Molecules 2025 dataset.

Values from the calculation:
* charge: 0
* LUMO energy: -1.6 eV
* spin multiplicity: 1
* E: -38793.945 eV

Each line ends with the Löwdin charge.
Element x y z (Å)
C  1.6891  0.0849  -2.3489  -0.3349
S  0.0507  0.4816  -1.3612  0.9326
C  0.2510  0.2469  0.1913  -1.2351
S  1.3908  -0.6243  1.0300  0.7553
C  -0.9072  0.7682  0.9049  -0.8937
S  -1.3442  2.3847  1.0394  0.7209
C  -1.5369  -0.3634  1.6512  -0.3407
O  -1.1426  -1.6708  1.3023  -0.1468
H  2.0966  -1.1390  -2.4859  0.1356
H  1.3552  0.7914  -3.3545  0.0837
H  2.4031  0.9240  -1.9718  0.0404
H  -2.6213  -0.1181  1.2695  0.1476
H  -1.5358  -0.1272  2.9384  0.2052
H  -0.1486  -1.6390  1.1952  -0.0701



(5)
The following is a quantum chemistry calculation of a cluster of 2 separate species, C4H6OS3 in total at a distorted geometry, from the Open Molecules 2025 dataset.

Values from the calculation:
* charge: 0
* LUMO energy: -2.1 eV
* spin multiplicity: 1
* E: -38793.604 eV

Each line ends with the Löwdin charge.
Element x y z (Å)
C  -0.7710  0.1134  0.0671  -0.8072
C  -0.7799  -0.9330  -0.8874  -0.4280
C  1.6435  0.2856  -0.4419  -1.0223
C  0.6342  0.1727  0.7024  -0.5889
H  -2.9183  1.4930  0.7075  0.1612
H  -1.6399  -0.0436  0.7392  0.0628
H  -0.9708  -1.9062  -0.3746  0.1090
H  -1.4993  -0.6877  -1.6705  0.0641
H  0.8258  1.0483  1.2333  0.0982
H  1.9232  -0.7566  1.4570  0.1630
O  0.9222  -1.0007  1.3408  -0.0247
S  -1.3055  1.6902  -0.7072  0.6770
S  1.0194  -0.8879  -1.6404  0.9048
S  2.9163  1.4126  -0.5252  0.6312



(6)
- - -

[Activity]
Write out the material further above without additions.

[Response]
(1)
The following is a quantum chemistry calculation of an isolated molecule of C4H6OS at a distorted geometry, from the Open Molecules 2025 dataset.

Values from the calculation:
* charge: 0
* LUMO energy: -0.9 eV
* spin multiplicity: 1
* E: -17126.896 eV

Each line ends with the Löwdin charge.
Element x y z (Å)
C  1.0615  -1.5984  0.1442  -0.0412
C  0.6725  -0.1920  -0.2252  -0.4426
O  1.4912  0.5901  -0.6893  0.0677
C  -0.8557  0.1938  -0.0931  -0.7481
C  -0.9418  1.6244  0.1015  -0.1302
S  -1.9935  -0.9188  -0.3806  0.7960
H  0.2243  -2.2775  0.0353  0.0333
H  1.8791  -1.8372  -0.5339  0.0905
H  1.4260  -1.5503  1.1527  0.0860
H  -0.0666  2.2586  -0.3239  0.1269
H  -1.0044  1.8101  1.1580  0.0888
H  -1.8926  1.8971  -0.3457  0.0730



(2)
The following is a quantum chemistry calculation of an isolated molecule of C4H6OS2 at a distorted geometry, from the Open Molecules 2025 dataset.

Values from the calculation:
* charge: 0
* LUMO energy: 0.2 eV
* spin multiplicity: 1
* E: -27960.885 eV

Each line ends with the Löwdin charge.
Element x y z (Å)
S  3.4862  -0.7249  0.3239  0.7033
C  2.5501  0.0295  -0.7781  -0.6532
O  1.2965  0.4965  -0.6043  -0.1346
C  0.7708  0.4151  0.7076  -0.2377
C  -0.7015  0.0580  0.8615  -0.1559
C  -1.3494  -0.3662  -0.1810  -0.5560
S  -3.0580  -0.7788  -0.1450  0.7300
H  2.9283  0.1333  -1.7910  0.0688
H  0.7895  1.4741  1.1441  0.1633
H  1.2807  -0.4150  1.0873  0.0286
H  -1.1390  0.1617  1.9480  0.1561
H  -0.9679  -0.1805  -1.1326  0.0454
H  -2.8288  -2.0642  0.0009  -0.1582



(3)
The following is a quantum chemistry calculation of an isolated molecule of C4H6OS2 at a distorted geometry, from the Open Molecules 2025 dataset.

Values from the calculation:
* charge: 0
* LUMO energy: 0.5 eV
* spin multiplicity: 1
* E: -27959.907 eV

Each line ends with the Löwdin charge.
Element x y z (Å)
S  3.0410  0.1228  0.4217  0.7359
C  1.4085  -0.0255  -0.1723  -1.0745
O  0.8429  0.8782  -1.0827  -0.1545
C  0.0638  1.2024  0.0774  -0.1602
C  -1.2967  0.5118  0.1941  -0.2357
C  -1.1869  -0.8840  -0.3194  -0.4184
S  0.5514  -1.5838  0.0040  0.8387
H  3.2542  -1.3387  0.4684  -0.0498
H  0.4683  1.9456  0.6699  0.0925
H  -2.1686  1.1497  -0.2652  0.1445
H  -1.7775  0.5882  1.2225  0.1265
H  -1.8475  -1.5339  0.2158  0.0551
H  -1.3529  -1.0329  -1.4342  0.0999



(4)
The following is a quantum chemistry calculation of an isolated molecule of C4H6OS3 at a distorted geometry, from the Open Molecules 2025 dataset.

Values from the calculation:
* charge: 0
* LUMO energy: -1.6 eV
* spin multiplicity: 1
* E: -38793.945 eV

Each line ends with the Löwdin charge.
Element x y z (Å)
C  1.6891  0.0849  -2.3489  -0.3349
S  0.0507  0.4816  -1.3612  0.9326
C  0.2510  0.2469  0.1913  -1.2351
S  1.3908  -0.6243  1.0300  0.7553
C  -0.9072  0.7682  0.9049  -0.8937
S  -1.3442  2.3847  1.0394  0.7209
C  -1.5369  -0.3634  1.6512  -0.3407
O  -1.1426  -1.6708  1.3023  -0.1468
H  2.0966  -1.1390  -2.4859  0.1356
H  1.3552  0.7914  -3.3545  0.0837
H  2.4031  0.9240  -1.9718  0.0404
H  -2.6213  -0.1181  1.2695  0.1476
H  -1.5358  -0.1272  2.9384  0.2052
H  -0.1486  -1.6390  1.1952  -0.0701



(5)
The following is a quantum chemistry calculation of a cluster of 2 separate species, C4H6OS3 in total at a distorted geometry, from the Open Molecules 2025 dataset.

Values from the calculation:
* charge: 0
* LUMO energy: -2.1 eV
* spin multiplicity: 1
* E: -38793.604 eV

Each line ends with the Löwdin charge.
Element x y z (Å)
C  -0.7710  0.1134  0.0671  -0.8072
C  -0.7799  -0.9330  -0.8874  -0.4280
C  1.6435  0.2856  -0.4419  -1.0223
C  0.6342  0.1727  0.7024  -0.5889
H  -2.9183  1.4930  0.7075  0.1612
H  -1.6399  -0.0436  0.7392  0.0628
H  -0.9708  -1.9062  -0.3746  0.1090
H  -1.4993  -0.6877  -1.6705  0.0641
H  0.8258  1.0483  1.2333  0.0982
H  1.9232  -0.7566  1.4570  0.1630
O  0.9222  -1.0007  1.3408  -0.0247
S  -1.3055  1.6902  -0.7072  0.6770
S  1.0194  -0.8879  -1.6404  0.9048
S  2.9163  1.4126  -0.5252  0.6312



(6)